## Job
Transcribe the lines below from the one with "8.3352 Å," to the one with "(0.1918, 0.2898," unchanged, please.
## Listing
=====
1.
Structure and calculated X-ray powder pattern of Li3Mn2CoO6 (a crystal structure in the Materials Project, relaxed with GGA+U; Cu Kα (weighted mean of Kα1 and Kα2)).

Cell and atoms:
a = 3.0824 Å, b = 6.1115 Å, c = 6.4755 Å
α = 102.92°, β = 103.32°, γ = 94.88°
Space group P-1 (No. 2)
Unique sites:
Li (0.0000, 0.0000, 0.0000) (multiplicity 1)
Li (0.3396, 0.6656, 0.6714) (multiplicity 2)
Mn (0.3223, 0.1706, 0.6668) (multiplicity 2)
Co (0.0000, 0.5000, 0.0000) (multiplicity 1)
O (0.1423, 0.0776, 0.3468) (multiplicity 2)
O (0.1999, 0.5844, 0.3177) (multiplicity 2)
O (0.4666, 0.2618, 0.9851) (multiplicity 2)

Top 6 peaks for 2θ = 15–90°, in order of rising 2θ:
4.897 Å, 2θ = 18.12°, rel. 100.0, (0 1 -1)
2.689 Å, 2θ = 33.32°, rel. 20.2, (-1 1 1)
2.468 Å, 2θ = 36.41°, rel. 16.5, (0 1 2)
2.261 Å, 2θ = 39.88°, rel. 33.8, (1 -2 0)
2.075 Å, 2θ = 43.61°, rel. 25.4, (1 2 -1)
2.033 Å, 2θ = 44.56°, rel. 23.6, (0 0 3)



2.
Structure and calculated X-ray powder pattern of Eu2CoO4 (a crystal structure in the Materials Project, relaxed with GGA+U; Cu Kα (weighted mean of Kα1 and Kα2)).

Cell and atoms:
a = 3.7911 Å, b = 3.7911 Å, c = 12.0941 Å
α = 90.00°, β = 90.00°, γ = 90.00°
Space group I4/mmm (No. 139)
Unique sites:
Eu (0.0000, 0.0000, 0.1408) (multiplicity 4)
Co (0.0000, 0.0000, 0.5000) (multiplicity 2)
O (0.0000, 0.0000, 0.3357) (multiplicity 4)
O (0.0000, 0.5000, 0.0000) (multiplicity 4)

Top 6 peaks for 2θ = 15–90°, in order of rising 2θ:
3.618 Å, 2θ = 24.61°, rel. 27.8, (1 0 1)
2.762 Å, 2θ = 32.42°, rel. 100.0, (1 0 3)
2.681 Å, 2θ = 33.43°, rel. 70.1, (1 1 0)
2.006 Å, 2θ = 45.21°, rel. 32.0, (1 1 4)
1.896 Å, 2θ = 48.00°, rel. 33.9, (2 0 0)
1.563 Å, 2θ = 59.11°, rel. 36.7, (2 1 3)



3.
Structure and calculated X-ray powder pattern of Sr2CdWO6 (a crystal structure in the Materials Project, relaxed with GGA+U; Cu Kα (weighted mean of Kα1 and Kα2)).

Cell and atoms:
a = 5.8289 Å, b = 8.3352 Å, c = 6.0638 Å
α = 90.00°, β = 90.00°, γ = 90.00°
Space group Pmmn (No. 59, origin choice 2)
Unique sites:
Sr (0.2500, 0.0140, 0.2098) (multiplicity 4)
Cd (0.2500, 0.2500, 0.7261) (multiplicity 2)
W (0.2500, 0.7500, 0.7627) (multiplicity 2)
O (0.0072, 0.7500, 0.5490) (multiplicity 4)
O (0.0163, 0.7500, 0.9983) (multiplicity 4)
O (0.2500, 0.5170, 0.7809) (multiplicity 4)

Top 6 peaks for 2θ = 15–90°, in order of rising 2θ:
3.032 Å, 2θ = 29.46°, rel. 24.5, (0 0 2)
2.959 Å, 2θ = 30.20°, rel. 100.0, (1 2 1)
2.914 Å, 2θ = 30.68°, rel. 25.0, (2 0 0)
2.101 Å, 2θ = 43.05°, rel. 28.5, (2 0 2)
1.691 Å, 2θ = 54.24°, rel. 19.4, (3 2 1)
1.480 Å, 2θ = 62.81°, rel. 16.6, (2 4 2)



4.
Structure and calculated X-ray powder pattern of SrTbPrMnO6 (a crystal structure in the Materials Project, relaxed with GGA+U; Cu Kα (weighted mean of Kα1 and Kα2)).

Cell and atoms:
a = 8.1612 Å, b = 8.1612 Å, c = 8.1612 Å
α = 90.00°, β = 90.00°, γ = 90.00°
Space group F-43m (No. 216)
Unique sites:
Sr (0.0000, 0.0000, 0.0000) (multiplicity 4)
Tb (0.2500, 0.2500, 0.7500) (multiplicity 4)
Pr (0.0000, 0.0000, 0.5000) (multiplicity 4)
Mn (0.2500, 0.2500, 0.2500) (multiplicity 4)
O (0.0170, 0.2500, 0.2500) (multiplicity 24)

Top 6 peaks for 2θ = 15–90°, in order of rising 2θ:
2.885 Å, 2θ = 30.99°, rel. 100.0, (2 2 0)
2.040 Å, 2θ = 44.40°, rel. 31.0, (4 0 0)
1.666 Å, 2θ = 55.13°, rel. 39.3, (4 2 2)
1.443 Å, 2θ = 64.60°, rel. 18.7, (4 4 0)
1.290 Å, 2θ = 73.37°, rel. 17.4, (6 2 0)
1.091 Å, 2θ = 89.96°, rel. 21.4, (6 4 2)



5.
Structure and calculated X-ray powder pattern of VOF (a crystal structure in the Materials Project, relaxed with GGA+U; Cu Kα (weighted mean of Kα1 and Kα2)).

Cell and atoms:
a = 4.6647 Å, b = 5.6667 Å, c = 7.8787 Å
α = 85.96°, β = 88.79°, γ = 88.56°
Space group P-1 (No. 2)
Unique sites:
V (0.0000, 0.0000, 0.0000) (multiplicity 1)
V (0.0151, 0.3403, 0.6852) (multiplicity 2)
V (0.4800, 0.1683, 0.3512) (multiplicity 2)
V (0.5000, 0.5000, 0.0000) (multiplicity 1)
O (0.1918, 0.2898, 0.9084) (multiplicity 2)
O (0.2920, 0.1250, 0.5737) (multiplicity 2)
=====
## Reply
a = 5.8289 Å, b = 8.3352 Å, c = 6.0638 Å
α = 90.00°, β = 90.00°, γ = 90.00°
Space group Pmmn (No. 59, origin choice 2)
Unique sites:
Sr (0.2500, 0.0140, 0.2098) (multiplicity 4)
Cd (0.2500, 0.2500, 0.7261) (multiplicity 2)
W (0.2500, 0.7500, 0.7627) (multiplicity 2)
O (0.0072, 0.7500, 0.5490) (multiplicity 4)
O (0.0163, 0.7500, 0.9983) (multiplicity 4)
O (0.2500, 0.5170, 0.7809) (multiplicity 4)

Top 6 peaks for 2θ = 15–90°, in order of rising 2θ:
3.032 Å, 2θ = 29.46°, rel. 24.5, (0 0 2)
2.959 Å, 2θ = 30.20°, rel. 100.0, (1 2 1)
2.914 Å, 2θ = 30.68°, rel. 25.0, (2 0 0)
2.101 Å, 2θ = 43.05°, rel. 28.5, (2 0 2)
1.691 Å, 2θ = 54.24°, rel. 19.4, (3 2 1)
1.480 Å, 2θ = 62.81°, rel. 16.6, (2 4 2)



4.
Structure and calculated X-ray powder pattern of SrTbPrMnO6 (a crystal structure in the Materials Project, relaxed with GGA+U; Cu Kα (weighted mean of Kα1 and Kα2)).

Cell and atoms:
a = 8.1612 Å, b = 8.1612 Å, c = 8.1612 Å
α = 90.00°, β = 90.00°, γ = 90.00°
Space group F-43m (No. 216)
Unique sites:
Sr (0.0000, 0.0000, 0.0000) (multiplicity 4)
Tb (0.2500, 0.2500, 0.7500) (multiplicity 4)
Pr (0.0000, 0.0000, 0.5000) (multiplicity 4)
Mn (0.2500, 0.2500, 0.2500) (multiplicity 4)
O (0.0170, 0.2500, 0.2500) (multiplicity 24)

Top 6 peaks for 2θ = 15–90°, in order of rising 2θ:
2.885 Å, 2θ = 30.99°, rel. 100.0, (2 2 0)
2.040 Å, 2θ = 44.40°, rel. 31.0, (4 0 0)
1.666 Å, 2θ = 55.13°, rel. 39.3, (4 2 2)
1.443 Å, 2θ = 64.60°, rel. 18.7, (4 4 0)
1.290 Å, 2θ = 73.37°, rel. 17.4, (6 2 0)
1.091 Å, 2θ = 89.96°, rel. 21.4, (6 4 2)



5.
Structure and calculated X-ray powder pattern of VOF (a crystal structure in the Materials Project, relaxed with GGA+U; Cu Kα (weighted mean of Kα1 and Kα2)).

Cell and atoms:
a = 4.6647 Å, b = 5.6667 Å, c = 7.8787 Å
α = 85.96°, β = 88.79°, γ = 88.56°
Space group P-1 (No. 2)
Unique sites:
V (0.0000, 0.0000, 0.0000) (multiplicity 1)
V (0.0151, 0.3403, 0.6852) (multiplicity 2)
V (0.4800, 0.1683, 0.3512) (multiplicity 2)
V (0.5000, 0.5000, 0.0000) (multiplicity 1)
O (0.1918, 0.2898, 0.9084) (multiplicity 2)